Video highlights
- 即刻种植和即刻修复(IIPP)的临床证据
- 如何分析颊侧骨板以及是否需要软组织移植
- 种植体稳定性要求和种植体外形的作用
- 临床病例:软组织反应和11年随访结果
- 讨论:颊侧骨板的存在对于即刻种植是必需的吗?
# Attached: data records
Mg14NbFe: simulated powder X-ray diffraction pattern (Cu Kα (weighted mean of Kα1 and Kα2)), based on DFT lattice parameters and positions (PBE).

Cell and atoms:
a = 6.2624 Å, b = 6.2624 Å, c = 9.8420 Å
α = 90.00°, β = 90.00°, γ = 120.00°
Space group P-6m2 (No. 187)
Symmetry-distinct sites (fractional):
Mg  0.0000  0.0000  0.2442 (multiplicity 2)
Mg  0.0190  0.5095  0.2578 (multiplicity 6)
Mg  0.3316  0.1658  0.5000 (multiplicity 3)
Mg  0.3408  0.1704  0.0000 (multiplicity 3)
Nb  0.3333  0.6667  0.0000 (multiplicity 1)
Fe  0.3333  0.6667  0.5000 (multiplicity 1)

Peak list (12 most intense, 10° ≤ 2θ ≤ 90°, low angle first)
d [Å]  Position (°2θ)  Rel. int.
5.423  16.34  27.5
3.644  24.42  14.0
2.712  33.03  27.3
2.642  33.93  7.0
2.461  36.52  24.3
2.375  37.88  100.0
1.892  48.08  7.8
1.822  50.06  16.1
1.566  59.00  16.8
1.404  66.63  17.1
1.321  71.41  18.0
1.307  72.28  13.2

---

CoSbSe: simulated powder X-ray diffraction pattern (Cu Kα (weighted mean of Kα1 and Kα2)), based on DFT lattice parameters and positions (PBE).

Cell and atoms:
a = 5.2652 Å, b = 3.5759 Å, c = 6.0744 Å
α = 90.00°, β = 95.12°, γ = 90.00°
Space group P2/m (No. 10)
Symmetry-distinct sites (fractional):
Co  0.0000  0.0000  0.0000 (multiplicity 1)
Co  0.5000  0.5000  0.5000 (multiplicity 1)
Sb  0.2196  0.0000  0.6480 (multiplicity 2)
Se  0.2701  0.5000  0.1410 (multiplicity 2)

Peak list (12 most intense, 10° ≤ 2θ ≤ 90°, low angle first)
d [Å]  Position (°2θ)  Rel. int.
3.798  23.42  26.4
2.954  30.25  43.3
2.728  32.83  66.2
2.709  33.07  100.0
2.622  34.20  27.4
2.604  34.45  74.1
2.525  35.56  58.6
2.042  44.35  40.0
1.953  46.50  55.5
1.788  51.08  36.5
1.757  52.06  60.4
1.459  63.80  29.8

---

PrScSi: simulated powder X-ray diffraction pattern (Cu Kα (weighted mean of Kα1 and Kα2)), based on DFT lattice parameters and positions (PBE).

Cell and atoms:
a = 4.6922 Å, b = 4.6922 Å, c = 14.2351 Å
α = 90.00°, β = 90.00°, γ = 90.00°
Space group I4/mmm (No. 139)
Symmetry-distinct sites (fractional):
Pr  0.0000  0.0000  0.1426 (multiplicity 4)
Sc  0.0000  0.0000  0.3938 (multiplicity 4)
Si  0.0000  0.5000  0.0000 (multiplicity 4)

Peak list (12 most intense, 10° ≤ 2θ ≤ 90°, low angle first)
d [Å]  Position (°2θ)  Rel. int.
4.456  19.92  33.8
3.559  25.02  35.2
3.336  26.72  71.9
3.318  26.87  75.6
2.427  37.04  100.0
2.346  38.37  54.1
1.959  46.35  26.5
# The article goes on
主持人Joseph Kan教授主持了本次会议,他强调说,即刻种植是当今最具争议的手术之一。Jose Navarro博士根据循证医学,说明IIPP是一个可靠的治疗选择,并加深了我们对适应症、禁忌症、评估策略和诊断的理解。参见如何分析颊侧骨板和可视化的技术来评估是否需要软组织移植。通过一个临床病例,他展示了如何实施该技术,尊重生物学和解剖学,着眼于术中和术后软组织反应以及长期结果。专家小组Edith Groenendijk、 Tristan Staas、 Óscar González-Martín和Gabor Tepper根据他们自己的经验讨论了失败率,并讨论了评估颊侧骨板的先决条件和最佳方法。
感谢江苏省口腔医院 邱憬 教授的翻译和校对
问题反馈Would you do immediate placement of an implant in upper anterior area where there is bone fenestration buccally and cant get any
Would you do immediate placement of an implant in upper anterior area where there is bone fenestration buccally and cant get any stability of the implant with GBR in the same time or just do GBR and wait for 4 months then place the implant?
Thank you
Would you do immediate placement of an implant in upper anterior area where there is bone fenestration buccally and cant get any stability of the implant with GBR in the same time or just do GBR and wait for 4 months then place the implant?
Thank you
Wait after grafting /gbr. Give a prog to maintain/ gain soft tissue contours
Would you do immediate placement of an implant in upper anterior area where there is bone fenestration buccally and cant get any
Would you do immediate placement of an implant in upper anterior area where there is bone fenestration buccally and cant get any stability of the implant with GBR in the same time or just do GBR and wait for 4 months then place the implant?
Thank you
Would you do immediate placement of an implant in upper anterior area where there is bone fenestration buccally and cant get any stability of the implant with GBR in the same time or just do GBR and wait for 4 months then place the implant?
Thank you
If u can get reasonable implant stability and graft around the implant where there is no evidence of infection my feeling is placing the implant is the preferable option by being able to utilize the osteotomy that the removal of the tooth affords you. Once removal of a tooth occurs u always get tremendous osseous changes of contour and volume in the maxillary anterior.
Do bones have biological subtypes?
I previously heard Professor Joseph Kan analyze that the presence or absence of labial bone plates not only indicates the level of implantation risk but also reflects specific bone biological types, such as the biological classification of thin or thick gums. Is this understanding correct?
I previously heard Professor Joseph Kan analyze that the presence or absence of labial bone plates not only indicates the level of implantation risk but also reflects specific bone biological types, such as the biological classification of thin or thick gums. Is this understanding correct?
Waar is het vervolg van deze uiteenzetting? Waar is de techniek van Tristan Staat en Edith Groenendijk??
Waar is het vervolg van deze uiteenzetting?
Waar is de techniek van Tristan Staat en Edith Groenendijk??
Waar is het vervolg van deze uiteenzetting?
Waar is de techniek van Tristan Staat en Edith Groenendijk??
In reply to Waar is het vervolg van deze uiteenzetting? Waar is de techniek van Tristan Staat en Edith Groenendijk?? by Pieter Peeters
The technique from Tristan Staas and Edith Groenendijk will be presented in Episode 2, during June. Best wishes, the FOR team.